“Terima kasih (thank you)!” A joyful voice echoes through my memories of Bali. I was fortunate to live on the Island of Gods before modernization swept it through. Many expats had already been living in Ubud, the art center of Bali when I landed there first time in the 90s. But local people were still curious about foreigners. “Where are you from?” “Are you married yet?” “Where is your husband?” “Is your husband Balinese?” Ladies selling spices, fruits, and handmade crafts at the Ubud Market bombarded me with the same questions. “Terima kasih!” They handed me my change with grinning smiles and moved on to talk to the next customer.
Terima kasih consists of two words, terima (receiving) and kasih (giving). The phrase originated in the meditation practice of ancient Indonesia: receive negative energy from someone, transform it into a positive one, and give it back to the person. It is the same as tonglen, the meditation practice of Tibetan Buddhism. Dalai Lama does this meditation daily to cope with Chinese oppression in Tibet. More than 800 years ago, an Indian monk went to Sumatra, one of about 17,500 Indonesian islands (Bali is also one of them) to study with a master. He learned the meditation practice of terima kasih there and later spread it to Tibet.
Terima kasih meditation is difficult to practice. Our natural response to negative energy (anger, sorrow, envy, pain, and more) is to stay away from it. We repulse it because it is dark, heavy, and depressive. It is far from peace and joy we all want. To do this practice, we need to expand our capacity for negativity. We make our hearts bigger and stronger than the negative energy we take in. We then bring out love from our core and purify negativity with the power of love. Finally, we give love back to the person. It is the noblest thing a human can do to others.
Terima kasih is a hard practice to do, but we can try it on a small scale. When a supermarket cashier is mean to you next time, smile at her instead of reacting to her attitude. Acknowledge the store is short-staffed and thank her for her service. Kasih is the word for giving, and it also means love. Receive the cashier’s negative energy and return her love. I guarantee her attitude will change quickly. You have just made her day. Receive her unhappiness and return her love.
In Indonesian, the phrase used to respond to terima kasih is kembali kasih (returning love). Someone receives negative energy and gives back love. The receiver then returns love to the giver. This is how we multiply love through the action of giving and loving.
-- Unrelated to this entry: data records --
Record 1
A molecular structure, C54H35F7N4O2S3TcTe in a non-equilibrium geometry, computed with wB97M-V/def2-TZVPD.

Last column: Löwdin spin population.
Atoms and positions in Å:
Tc 0.418 0.262 -0.730  0.853
C -3.230 0.395 5.485  0.000
C -2.263 0.333 4.337  0.000
C -0.902 0.582 4.519  0.000
C -0.010 0.564 3.464  0.000
C 1.405 0.998 3.679  0.001
O 1.975 1.697 2.874  0.000
C 2.080 0.582 4.949  0.000
C 1.789 -0.619 5.583  0.000
C 2.481 -0.990 6.725  0.000
C 3.458 -0.152 7.243  0.000
C 3.754 1.048 6.610  0.000
C 3.075 1.409 5.461  0.000
C -0.466 0.252 2.177  0.002
O 0.405 0.247 1.210  0.027
C -1.824 -0.039 1.959  0.000
C -2.697 0.038 3.057  0.000
C -2.348 -0.439 0.646  -0.001
N -1.653 -0.506 -0.435  0.004
C -2.313 -1.030 -1.654  0.003
C -2.809 -2.457 -1.571  0.001
Te -1.386 -4.022 -1.287  0.000
C -1.721 -4.091 0.795  0.000
C -2.373 -5.180 1.359  0.000
C -2.590 -5.231 2.729  0.000
C -2.157 -4.197 3.543  0.000
C -1.511 -3.105 2.985  0.000
C -1.293 -3.054 1.617  0.000
C -3.822 -0.708 0.628  0.000
C -4.364 -1.831 1.243  0.000
C -5.734 -2.035 1.233  0.000
C -6.572 -1.108 0.630  0.000
C -6.036 0.031 0.048  0.000
C -4.663 0.233 0.048  0.000
H -2.721 0.657 6.410  0.000
H -3.725 -0.565 5.634  0.000
H -4.005 1.139 5.306  0.000
H -0.538 0.846 5.506  0.000
H 1.032 -1.278 5.174  0.000
H 2.260 -1.930 7.209  0.000
H 3.993 -0.437 8.138  0.000
H 4.522 1.696 7.008  0.000
H 3.303 2.329 4.941  0.000
H -3.754 -0.135 2.908  0.000
H -1.588 -0.934 -2.459  0.001
H -3.163 -0.402 -1.928  0.000
H -3.320 -2.678 -2.507  0.000
H -3.532 -2.615 -0.774  0.000
H -2.718 -5.987 0.729  0.000
H -3.106 -6.077 3.157  0.000
H -2.323 -4.243 4.610  0.000
H -1.178 -2.288 3.610  0.000
H -0.812 -2.189 1.183  0.000
H -3.711 -2.552 1.728  0.000
H -6.145 -2.918 1.701  0.000
H -7.640 -1.269 0.621  0.000
H -6.682 0.767 -0.405  0.000
H -4.249 1.125 -0.398  0.000
F -0.591 1.334 -6.016  -0.001
C -0.121 0.466 -5.094  -0.001
C -0.034 0.869 -3.774  0.010
C 0.447 -0.021 -2.811  -0.008
C 0.883 -1.303 -3.225  0.006
C 0.735 -1.663 -4.563  -0.001
F 1.075 -2.912 -4.980  -0.001
C 0.232 -0.803 -5.518  0.010
C 1.462 -2.171 -2.193  0.000
C 2.290 -3.268 -2.425  0.001
C 2.830 -3.945 -1.351  0.002
C 2.555 -3.515 -0.062  0.001
C 1.764 -2.398 0.095  0.002
N 1.218 -1.757 -0.936  0.002
H -0.348 1.867 -3.517  0.000
H 0.121 -1.110 -6.547  0.001
H 2.509 -3.571 -3.435  0.000
H 3.475 -4.795 -1.519  0.000
H 2.970 -4.007 0.805  0.000
H 1.562 -1.978 1.070  0.000
S 5.786 5.116 -2.539  0.001
C 4.887 3.748 -2.329  0.000
S 4.432 3.150 -0.765  0.001
C 3.535 1.868 -1.518  0.010
N 3.586 1.879 -2.802  0.002
N 4.330 2.929 -3.251  0.000
C 4.419 3.056 -4.660  0.000
C 3.340 2.642 -5.431  0.000
C 3.410 2.744 -6.807  0.000
C 4.548 3.254 -7.417  0.000
C 5.622 3.649 -6.636  0.000
C 5.567 3.550 -5.255  0.000
S 2.803 0.567 -0.612  0.061
H 2.461 2.242 -4.947  0.000
H 2.569 2.424 -7.404  0.000
H 4.596 3.344 -8.493  0.000
H 6.518 4.034 -7.098  0.000
H 6.408 3.852 -4.647  0.000
F -2.400 1.669 -1.855  0.002
C -1.574 2.616 -1.339  0.007
Many thanks to Anand Krishna, a highly respected interfaith spiritual master and leader in Indonesia who shared the practice of terima kasih with me and many others. You can read his article on terima kasih here: https://www.anandkrishna.org/en/2008/06/10/indonesia-tibet-and-the-secret-of-terima-kasih/
Data records, as found in the file.
8
Properties=species:S:1:pos:R:3:forces:R:3:lowdin_charge:R:1 method="wB97M-V/def2-TZVPD" orbital_gap_ev="6.708 / 6.738" e_tot_ha=-532.46578 max_force_ev_per_a=2.383 de_lowest_kcal_mol=135.8 lumo_energy_ev="-0.4 / -0.3"
C 0.214 -1.144 0.722 0.31 1.99 1.12 -0.024
C -1.080 -0.925 0.685 -0.41 -0.77 -1.49 -0.052
C -0.264 0.121 0.255 0.25 -0.09 0.35 -0.120
O 0.930 2.065 -1.085 -0.56 -1.18 1.29 -0.666
P 0.492 1.039 -2.249 0.24 0.59 0.67 0.650
H 1.136 -1.374 1.191 0.53 -1.21 -0.25 0.097
H -2.042 -1.380 0.610 -0.54 0.03 0.61 0.096
H 0.614 1.598 -0.130 0.17 0.64 -2.29 0.019

---

12
Properties=species:S:1:pos:R:3:forces:R:3:lowdin_spin:R:1 method="wB97M-V/def2-TZVPD" orbital_gap_ev="11.899 / 5.371" e_tot_ha=-578.87651 max_force_ev_per_a=4.207 total_charge=+1 spin_multiplicity=3 de_lowest_kcal_mol=15.9 lumo_energy_ev="-2.7 / -8.8"
C 0.845 -0.154 -1.709 2.37 0.44 -1.54 0.022
C 1.358 0.645 0.259 -1.74 -1.03 -1.51 0.026
C -0.763 -0.126 1.466 1.61 1.46 0.49 -0.002
N 1.795 0.490 -0.993 1.41 0.67 -0.24 0.070
N -0.140 -0.431 -0.931 -2.97 -1.30 -0.18 0.288
N 0.134 0.048 0.248 -0.73 0.87 4.05 0.017
I -2.961 -0.815 -1.978 0.81 0.10 0.29 1.583
H 0.925 -0.487 -2.789 -0.08 0.69 1.69 -0.002
H 1.740 1.157 1.171 0.05 -0.58 -1.23 0.001
H -1.473 -0.925 1.296 0.68 -0.82 0.33 -0.001
H -0.008 -0.140 2.399 -2.21 -0.47 -2.10 0.000
H -1.452 0.737 1.561 0.81 -0.03 -0.04 0.000

---

10
Properties=species:S:1:pos:R:3:forces:R:3:lowdin_charge:R:1 method="wB97M-V/def2-TZVPD" orbital_gap_ev="6.352 / 6.355" e_tot_ha=-752.63035 max_force_ev_per_a=3.738 de_lowest_kcal_mol=126.0 lumo_energy_ev="-3.3 / -3.3"
C 0.900 -0.344 -0.340 -1.76 3.07 -1.20 -0.426
N 1.400 -1.319 0.134 2.31 -1.67 0.65 0.341
N -1.551 -0.589 1.477 -0.61 -0.28 -1.30 -0.215
N -0.141 0.407 -0.488 0.55 -0.46 0.17 0.007
O -2.573 1.007 -0.340 0.90 -1.15 0.81 -0.320
O -2.008 -1.309 -0.942 -0.30 -0.93 -0.98 -0.325
S -1.888 -0.233 -0.030 0.28 -0.21 3.15 0.510
H -1.523 -1.621 1.768 -0.27 1.91 -1.40 0.043
H 2.086 -0.071 -0.701 -1.45 -1.30 0.89 0.288
H -0.180 1.185 -1.089 0.35 1.01 -0.80 0.098


{
  "formula": "C24H18BrN4Ni",
  "method": "ωB97M-V/def2-TZVPD",
  "e_tot_ev": -142221.53343,
  "homo_energy_ev": [-9.8, -9.9],
  "e_above_lowest_kj_mol": 30.9,
  "charge": 1,
  "molar_mass_g_mol": 501.03,
  "spin_multiplicity": 3,
  "symbols": ["Ni", "C", "C", "N", "C", "C", "C", "C", "C", "C", "C", "N", "C", "C", "C", "C", "C", "C", "C", "C", "N", "C", "H", "H", "H", "H", "H", "H", "H", "H", "H", "H", "H", "H", "C", "C", "C", "C", "C", "Br", "N", "C", "H", "H", "H", "H", "H", "H"],
“The mutual practice of giving and receiving is an everyday ritual when we know true love.” – Bell Hooks